I took Economics 101 (at least twice) in college, and would like to talk about the economics of the wet vs. dry argument in Dallas. Everyone thinks it's about a change in packaged wine and beer sales and sales tax revenue, or that it's about how much restaurants (licensed as clubs) spend to keep up a club membership database.
Chump change, guys, don't be like a pack of dogs distracted by Squirrels on the sidelines. Into this argument let me introduce
Amynomics 101, surely no Nobel Prize winning thesis, but an aspect of the economic consequences of the current law that are as relevant, if not more so, than those being currently discussed.
First, before we get into a discussion of what is best for Dallas, let me state that I'm very much for a system that controls alcohol consumption - especially when it comes to 1) minors and 2) over-imbibing and driving. I agree with a system that works towards controlling both, while allowing those who don't break the rules the freedom to enjoy something that is completely legal. I'm an accountant who loves to "follow the money", with a Bachelors of Science in Business Management from UT-D. I am no economist, but for 20 years I've been working in the industry, trying to figure out the Texas Alcoholic Beverage Code, only to repeatedly find that just when you think you know it, you don't.
I completely agree that the sales tax revenue of retail store beer and wine (Squirrel - it's not really about sales tax revenue!) will vary little (relative to the total) between the wet-dry lines, but in these times can our city really afford to turn away any positive cash flow? What will happen is a gradual shifting away from traditional Dallas "wet" area liquor stores to more grocery store/corner store purchasing within Dallas. As beer and wine sales are siphoned from these high density liquor strips, there will be fewer stores that can survive on the leftover hard liquor sales. Something like that seems to be going on up on Inwood Road in Addison since the suburbs surrounding them have voted themselves modified wet - lately I've noticed many shuttered stores that previously sold liquor, beer and wine.
It seems a break-even economic proposal unless you consider the cost to Dallasites who currently have to travel the extra distance to purchase (what in most towns is available on their neighborhood corner) beer and wine. But
Amynomics deals with the
larger financial issues and how these ancient restrictions limit Dallas' economy, taxes, club licensees and their guests.
Because of the way Texas' over 70 year old law was written, restaurants licensed as clubs in dry areas
(Squirrel - it's dry, but it's not really dry!) must purchase their alcohol they sell through a 4th tier retail package store, paying as much as 20%-30% more for their inventory as a restaurant located in a wet area who can buy directly from a wholesale seller. Highest in markup is wines, and a restaurant's alcohol sales are typically around 50-60% wine sales.
So based on the June 2010 report issued by the Texas Comptroller of Public Accounts (which was mostly payments for the month of May), I added up all the club licensees Mixed Beverage Gross Receipts payments and came up with the following numbers:
3 sample pages of June's TABC report,
yellow highlights are Dallas club licensees.
Addison has zero club licensees. |
**Unrelated to this text: data records**
____________
22
Properties=species:S:1:pos:R:3:forces:R:3:mulliken_charge:R:1 method="wB97M-V/def2-TZVPD" de_lowest_kcal_mol=27.93 smiles=NC[C@H](N)CCO.O gap_ha=0.353 homo_energy_ev=-9.05
N 0.740972 0.886074 -2.149554 -0.355 0.375 -0.130 -0.601
C 0.363748 0.690036 -0.757054 0.662 -0.926 -0.050 -0.136
C -0.962026 -0.070916 -0.588088 0.382 1.981 -0.857 0.616
N -1.951130 0.631790 -1.396095 -1.298 0.766 -0.271 -0.726
C -1.243942 0.021421 0.896962 -0.387 0.108 0.428 -1.459
C -0.398560 -0.914710 1.731692 -0.086 -1.134 -0.290 0.019
O -0.902705 -2.263650 1.643290 -0.243 0.023 0.419 -0.558
H 0.819287 0.015061 -2.648918 0.115 -0.195 -0.054 0.200
H 1.603082 1.403630 -2.245402 -0.003 -0.053 0.003 0.226
H 1.133981 0.135378 -0.211843 0.030 0.135 0.182 -0.268
H 0.233161 1.653084 -0.269440 0.079 0.201 -0.119 0.387
H -0.884818 -1.060046 -1.039840 0.166 -0.395 0.602 0.315
H -1.546843 1.284786 -2.060339 0.520 -0.529 -0.171 0.278
H -2.580141 1.249304 -0.890782 0.018 -0.506 0.527 0.240
H -2.299195 -0.089532 1.171837 -0.082 -0.699 -0.279 0.410
H -1.126351 1.065186 1.206078 0.552 0.019 -0.095 0.457
H -0.358094 -0.587042 2.768162 -0.208 -0.139 0.188 0.281
H 0.627392 -1.074808 1.400094 0.133 0.875 -0.086 0.034
H -1.652049 -2.291924 1.042701 -0.046 0.107 0.054 0.318
O 3.385790 -0.540467 1.023765 0.081 0.153 0.142 -0.649
H 3.207836 -0.437950 0.086175 0.023 -0.026 -0.133 0.299
H 3.790604 0.295288 1.286605 -0.054 -0.143 -0.007 0.316

----------
____________
Dallas clubs paid: $1,061,163 in Mixed Beverage taxes in June, which mathematically translates to $7,579,736 in liquor, beer and wine sales. (These are not bars, they are restaurants, hotels, Veteran's organizations, country clubs. They have strict requirements of how much alcohol can be sold relative to the amount of food sold.) Let's say purchasing costs of alcohol for those sales is 30% of total sales, a pretty typical industry average and for purposes of this argument, by removing the 4th tier, let's use a lower 10% savings rate of overall purchases.
Wow, that's a savings estimate of $227,392. For one month. Almost $3 million per year. Consider that this savings would be returned to Dallas business owners and their guests through lower prices. And it costs the city NOTHING in lost tax revenue. Higher cost-of-sales necessitates higher prices - an anecdotal story is my comparison of Merryvale Chardonnay at Houston's Park Cities vs. Addison. A $1 higher sales price per glass equivalates to a 10% buying premium for the same product in dry Dallas. But
laws of Economics (general laws, not just mine) dictate that as costs rise, demand drops, or in other words people will find ways to limit the higher costs of dining out - by either doing without, by searching out BYOB places, by drinking at home, or by dining in a lower cost area like the 'burbs. All of which results in lower taxes to the city.
Higher production costs means thinner margins for those businesses, which translates to less incentive for new businesses to grow in the area. This is huge, no, HUGE economics. Between sales taxes, mixed beverage gross receipts taxes (14% of alcohol sales), payroll, property, unemployment and franchise taxes, few businesses generate tax-revenue-per-square-foot like a full-service, full-bar restaurant. So dis-incentivizing these maxi-tax generating businesses is like saying "Thanks, but no thanks". No problem, (they say), looking to the modified wet suburbs to the (north, south, east west) where the mix of residential and commercial rivals that of any Dallas neighborhood. Leaving Dallas residents to figure out how to keep our libraries and community centers open without raising property taxes on our homes.
Entrepreneurs will always look to locate in the areas where they have the greatest opportunity to succeed, lower costs mean more money to pay back bank loans or other financing that helps open these very businesses. Making the suburbs a better breeding ground for success means jobs and sales tax revenues move out of Dallas. Add to the mix the high density of suburban residences and commercial areas that can help support community-based restaurants out there, and you have a higher chance of payback success outside of the city. I am unqualified to put a $dollar amount on this loss of future business development, but am certain to my very business core that it is NOT insignificant. Or else the suburbs would have stayed dry, I think.
Wet/dry politics is tied to land (Squirrel-it's not just Addison landowners that likes wet real estate!), in Dallas like no other large city in Texas. Austin, San Antonio, Houston, El Paso......which are dry? None. One factor facing a modified-wet Dallas, where wine bars or beer bars would be allowed on local corners like in other cities, is what happens to the old "wet". As retail sales and restaurant sales move to other more residential locations, the density of these businesses in traditional wet strips becomes less populated, reducing rental income and inviting redevelopment.
Until then, what, pray tell, invites redevelopment of a scuzzy swab of industrial late-night clubs and liquor stores when a landlord can "churn and burn" differing bars or stores - as one fails and another tries to re-open to success. Keeping these strips of areas as "exclusive sales belts" limits regeneration in some of the precincts most needing a redo. For now it also keeps cities like Addison in fireworks on the 4th of July, and promoting their local restaurants through city-sponsored advertising campaigns.
There are some incidental costs to dryness that are more nuisance than than prohibitive (Squirrel-these are not the real fight!). For one, club restaurants have to transport their own alcohol from the sellers location to theirs, sometimes they do this themselves, or there are a few companies specially licensed to do this for a fee. So while a beer truck delivers to Centennial Liquors, a block away from Sevy's Grill, Rathbun's or Hillstone, they are prohibited from crossing a 70 year-old line to deliver to our doors. And then there is the membership database, most of us utilize Unicard which has a modest monthly cost considering the service they offer. However both are just other expenses deducted from profitability, vs. a wet neighborhood (to the north, south, east, west of Dallas); another cost for an entrepreneur to consider when opening the restaurant of their dreams.
Let me digress about another economic point that seems unseen by the public (Squirrel! Squirrel! Squirrel!). I am all for alcohol enforcement when it makes sense. But tell me, does having TABC agents (licensed to carry guns, no less) go through boxes of membership records from the (months or years) past make sense to anyone? Because the last time we had an audit, two agents spent 4 hours going through boxes of membership records going back 3 years.
Perhaps, like me, you'd rather they'd find out the whys and hows of wrong-way drunk drivers on the tollway vs. who came in to have a gin and tonic at Sevy's bar six months ago. To the agents credit - they are only following what the law requires, but in these economic times, is it wrong to question the entire premise of this rule of law and how our enforcement of alcohol is misguided? Is it time to do away with the requirements of club membership simply based on the fact that it is a waste of taxpayer's money?
So Amynomics points you to keep the eye on the real prize, the higher costs and loss of growth and tax revenue to the city only results in profitibility to a few - and certainly not the Club restaurants, guests or citizens of the city. If we want to see strong, vibrant restaurants in our neighborhoods we must keep up with our suburban neighbors, or risk losing business development to them. Unlike many in these times, our industry is not asking for government financial handouts, only for fairness in laws, from which all of Dallas could benefit.